### Contents
********
For DyNi5As3, a crystal structure in Alexandria, relaxed with GGA-PBE gives the theoretical X-ray diffraction stick pattern in this record (Cu Kα (λ = 1.5418 Å)).
Peak positions follow from Bragg's law for the DFT cell and can differ from measured ones.

Principal peaks in the range 2θ = 5–70°, low angle first:
29.52 deg, rel. 27; 32.80 deg, rel. 38; 34.18 deg, rel. 92; 36.27 deg, rel. 100; 39.90 deg, rel. 63; 44.55 deg, rel. 28; 47.28 deg, rel. 46; 49.45 deg, rel. 58; 50.56 deg, rel. 44; 59.15 deg, rel. 27

Cell and atoms:
abc: 6.3698 6.3698 11.7659
angles: 90.00 90.00 146.36
Atoms (fractional coordinates):
Dy 0.1539 0.8461 0.7500
Dy 0.8461 0.1539 0.2500
Ni 0.0000 0.0000 0.0000
Ni 0.0000 0.0000 0.5000
Ni 0.1962 0.8038 0.0695
Ni 0.1962 0.8038 0.4305
Ni 0.4510 0.5490 0.6448
Ni 0.4510 0.5490 0.8552
Ni 0.5490 0.4510 0.1448
Ni 0.5490 0.4510 0.3552
Ni 0.8038 0.1962 0.5695
Ni 0.8038 0.1962 0.9305
As 0.1183 0.8817 0.2500
As 0.3798 0.6202 0.0469
As 0.3798 0.6202 0.4531
As 0.6202 0.3798 0.5469
As 0.6202 0.3798 0.9531
As 0.8817 0.1183 0.7500

---

For Si23Tc, a crystal structure in Alexandria, relaxed with GGA-PBE gives the theoretical X-ray diffraction stick pattern in this record (Cu Kα (λ = 1.5418 Å)).
Peak positions follow from Bragg's law for the DFT cell and can differ from measured ones.

Principal peaks in the range 2θ = 5–70°, low angle first:
12.28 deg, rel. 80; 19.48 deg, rel. 39; 32.89 deg, rel. 100; 36.35 deg, rel. 13; 37.45 deg, rel. 25; 40.57 deg, rel. 12; 52.36 deg, rel. 13; 53.18 deg, rel. 11; 54.00 deg, rel. 19; 55.60 deg, rel. 41

Cell and atoms:
abc: 10.1893 10.1893 10.1893
angles: 90.00 90.00 90.00
Atoms (fractional coordinates):
Si 0.0000 0.1162 0.3080
Si 0.0000 0.1162 0.6920
Si 0.0000 0.2500 0.5000
Si 0.0000 0.7500 0.5000
Si 0.0000 0.8838 0.3080
Si 0.0000 0.8838 0.6920
Si 0.1162 0.3080 0.0000
Si 0.1162 0.6920 0.0000
Si 0.1816 0.1816 0.1816
Si 0.1816 0.1816 0.8184
Si 0.1816 0.8184 0.1816
Si 0.1816 0.8184 0.8184
Si 0.1920 0.3838 0.5000
Si 0.1920 0.6162 0.5000
Si 0.2500 0.5000 0.0000
Si 0.3080 0.0000 0.1162
Si 0.3080 0.0000 0.8838
Si 0.3184 0.3184 0.3184
Si 0.3184 0.3184 0.6816
Si 0.3184 0.6816 0.3184
Si 0.3184 0.6816 0.6816
Si 0.3838 0.5000 0.1920
Si 0.3838 0.5000 0.8080
Si 0.5000 0.0000 0.2500
Si 0.5000 0.0000 0.7500
Si 0.5000 0.1920 0.3838
Si 0.5000 0.1920 0.6162
Si 0.5000 0.8080 0.3838
Si 0.5000 0.8080 0.6162
Si 0.6162 0.5000 0.1920
Si 0.6162 0.5000 0.8080
Si 0.6816 0.3184 0.3184
Si 0.6816 0.3184 0.6816
Si 0.6816 0.6816 0.3184
Si 0.6816 0.6816 0.6816
Si 0.6920 0.0000 0.1162
Si 0.6920 0.0000 0.8838
Si 0.7500 0.5000 0.0000
Si 0.8080 0.3838 0.5000
Si 0.8080 0.6162 0.5000
Si 0.8184 0.1816 0.1816
Si 0.8184 0.1816 0.8184
Si 0.8184 0.8184 0.1816
Si 0.8184 0.8184 0.8184
Si 0.8838 0.3080 0.0000
Si 0.8838 0.6920 0.0000
Tc 0.0000 0.0000 0.0000
Tc 0.5000 0.5000 0.5000

---

Q: Which formula does entry 1 have?
A: DyNi5As3

=====

Starting from the GGA-PBE geometry in Alexandria, the powder diffractogram of MnPH6CCl3 was simulated for Cu Kα (weighted mean of Kα1 and Kα2).
Intensities are scaled so that the largest is 100.

```
MnPH6CCl3
1.0
6.352 0.000 0.000
-0.123 8.326 0.000
-0.295 -1.230 14.853
Mn P H C Cl
4 4 24 4 12
Cartesian
0.000 0.000 0.000 Mn
-0.112 3.592 7.456 Mn
3.046 8.320 0.005 Mn
3.104 3.595 7.455 Mn
1.590 0.202 4.204 P
1.400 3.719 11.584 P
4.647 4.472 1.624 P
4.631 -0.241 9.016 P
0.439 -0.027 3.419 H
0.304 4.573 11.405 H
0.314 2.194 13.078 H
0.633 7.648 6.260 H
1.192 3.500 13.951 H
1.575 1.560 4.620 H
1.494 6.390 5.312 H
1.476 2.859 10.460 H
2.095 2.122 13.225 H
2.422 7.644 6.197 H
2.723 0.002 3.387 H
2.562 4.506 11.623 H
3.489 5.275 1.529 H
3.478 0.560 8.853 H
3.544 6.512 10.514 H
3.783 2.908 3.203 H
4.476 -0.481 11.409 H
4.660 3.576 0.526 H
4.666 4.240 4.020 H
4.583 7.176 7.929 H
5.330 6.548 10.649 H
5.572 2.930 3.192 H
5.781 5.308 1.521 H
5.774 0.587 8.973 H
1.234 2.794 13.110 C
1.506 7.442 5.630 C
4.427 7.162 10.552 C
4.670 3.552 3.164 C
1.169 7.074 12.934 Cl
1.462 6.564 1.086 Cl
1.584 1.666 1.116 Cl
********

### Exercise
Your job: return everything further up word for word.

### Result
For DyNi5As3, a crystal structure in Alexandria, relaxed with GGA-PBE gives the theoretical X-ray diffraction stick pattern in this record (Cu Kα (λ = 1.5418 Å)).
Peak positions follow from Bragg's law for the DFT cell and can differ from measured ones.

Principal peaks in the range 2θ = 5–70°, low angle first:
29.52 deg, rel. 27; 32.80 deg, rel. 38; 34.18 deg, rel. 92; 36.27 deg, rel. 100; 39.90 deg, rel. 63; 44.55 deg, rel. 28; 47.28 deg, rel. 46; 49.45 deg, rel. 58; 50.56 deg, rel. 44; 59.15 deg, rel. 27

Cell and atoms:
abc: 6.3698 6.3698 11.7659
angles: 90.00 90.00 146.36
Atoms (fractional coordinates):
Dy 0.1539 0.8461 0.7500
Dy 0.8461 0.1539 0.2500
Ni 0.0000 0.0000 0.0000
Ni 0.0000 0.0000 0.5000
Ni 0.1962 0.8038 0.0695
Ni 0.1962 0.8038 0.4305
Ni 0.4510 0.5490 0.6448
Ni 0.4510 0.5490 0.8552
Ni 0.5490 0.4510 0.1448
Ni 0.5490 0.4510 0.3552
Ni 0.8038 0.1962 0.5695
Ni 0.8038 0.1962 0.9305
As 0.1183 0.8817 0.2500
As 0.3798 0.6202 0.0469
As 0.3798 0.6202 0.4531
As 0.6202 0.3798 0.5469
As 0.6202 0.3798 0.9531
As 0.8817 0.1183 0.7500

---

For Si23Tc, a crystal structure in Alexandria, relaxed with GGA-PBE gives the theoretical X-ray diffraction stick pattern in this record (Cu Kα (λ = 1.5418 Å)).
Peak positions follow from Bragg's law for the DFT cell and can differ from measured ones.

Principal peaks in the range 2θ = 5–70°, low angle first:
12.28 deg, rel. 80; 19.48 deg, rel. 39; 32.89 deg, rel. 100; 36.35 deg, rel. 13; 37.45 deg, rel. 25; 40.57 deg, rel. 12; 52.36 deg, rel. 13; 53.18 deg, rel. 11; 54.00 deg, rel. 19; 55.60 deg, rel. 41

Cell and atoms:
abc: 10.1893 10.1893 10.1893
angles: 90.00 90.00 90.00
Atoms (fractional coordinates):
Si 0.0000 0.1162 0.3080
Si 0.0000 0.1162 0.6920
Si 0.0000 0.2500 0.5000
Si 0.0000 0.7500 0.5000
Si 0.0000 0.8838 0.3080
Si 0.0000 0.8838 0.6920
Si 0.1162 0.3080 0.0000
Si 0.1162 0.6920 0.0000
Si 0.1816 0.1816 0.1816
Si 0.1816 0.1816 0.8184
Si 0.1816 0.8184 0.1816
Si 0.1816 0.8184 0.8184
Si 0.1920 0.3838 0.5000
Si 0.1920 0.6162 0.5000
Si 0.2500 0.5000 0.0000
Si 0.3080 0.0000 0.1162
Si 0.3080 0.0000 0.8838
Si 0.3184 0.3184 0.3184
Si 0.3184 0.3184 0.6816
Si 0.3184 0.6816 0.3184
Si 0.3184 0.6816 0.6816
Si 0.3838 0.5000 0.1920
Si 0.3838 0.5000 0.8080
Si 0.5000 0.0000 0.2500
Si 0.5000 0.0000 0.7500
Si 0.5000 0.1920 0.3838
Si 0.5000 0.1920 0.6162
Si 0.5000 0.8080 0.3838
Si 0.5000 0.8080 0.6162
Si 0.6162 0.5000 0.1920
Si 0.6162 0.5000 0.8080
Si 0.6816 0.3184 0.3184
Si 0.6816 0.3184 0.6816
Si 0.6816 0.6816 0.3184
Si 0.6816 0.6816 0.6816
Si 0.6920 0.0000 0.1162
Si 0.6920 0.0000 0.8838
Si 0.7500 0.5000 0.0000
Si 0.8080 0.3838 0.5000
Si 0.8080 0.6162 0.5000
Si 0.8184 0.1816 0.1816
Si 0.8184 0.1816 0.8184
Si 0.8184 0.8184 0.1816
Si 0.8184 0.8184 0.8184
Si 0.8838 0.3080 0.0000
Si 0.8838 0.6920 0.0000
Tc 0.0000 0.0000 0.0000
Tc 0.5000 0.5000 0.5000

---

Q: Which formula does entry 1 have?
A: DyNi5As3

=====

Starting from the GGA-PBE geometry in Alexandria, the powder diffractogram of MnPH6CCl3 was simulated for Cu Kα (weighted mean of Kα1 and Kα2).
Intensities are scaled so that the largest is 100.

```
MnPH6CCl3
1.0
6.352 0.000 0.000
-0.123 8.326 0.000
-0.295 -1.230 14.853
Mn P H C Cl
4 4 24 4 12
Cartesian
0.000 0.000 0.000 Mn
-0.112 3.592 7.456 Mn
3.046 8.320 0.005 Mn
3.104 3.595 7.455 Mn
1.590 0.202 4.204 P
1.400 3.719 11.584 P
4.647 4.472 1.624 P
4.631 -0.241 9.016 P
0.439 -0.027 3.419 H
0.304 4.573 11.405 H
0.314 2.194 13.078 H
0.633 7.648 6.260 H
1.192 3.500 13.951 H
1.575 1.560 4.620 H
1.494 6.390 5.312 H
1.476 2.859 10.460 H
2.095 2.122 13.225 H
2.422 7.644 6.197 H
2.723 0.002 3.387 H
2.562 4.506 11.623 H
3.489 5.275 1.529 H
3.478 0.560 8.853 H
3.544 6.512 10.514 H
3.783 2.908 3.203 H
4.476 -0.481 11.409 H
4.660 3.576 0.526 H
4.666 4.240 4.020 H
4.583 7.176 7.929 H
5.330 6.548 10.649 H
5.572 2.930 3.192 H
5.781 5.308 1.521 H
5.774 0.587 8.973 H
1.234 2.794 13.110 C
1.506 7.442 5.630 C
4.427 7.162 10.552 C
4.670 3.552 3.164 C
1.169 7.074 12.934 Cl
1.462 6.564 1.086 Cl
1.584 1.666 1.116 Cl